Assignment:
Your job: transcribe the material underneath word for word.

Source:
'''
Starting from a crystal structure in the Materials Project, relaxed with GGA+U, the X-ray powder pattern of BaCaCo4O12 was computed for Cu Ka.
Neutral-atom scattering factors, no anomalous dispersion.

Crystal structure
```
data_BaCaCo4O12
_chemical_formula_sum 'Ba1 Ca1 Co4 O12'
_space_group_name_H-M_alt 'P 4/m m m'
_space_group_IT_number 123
_space_group_name_Hall '-P 4 2'
_cell_length_a 5.3748
_cell_length_b 5.3748
_cell_length_c 7.5536
_cell_angle_alpha 90.00
_cell_angle_beta 90.00
_cell_angle_gamma 90.00
loop_
_atom_site_label
_atom_site_type_symbol
_atom_site_fract_x
_atom_site_fract_y
_atom_site_fract_z
_atom_site_occupancy
Ba1 Ba 0.0000 0.0000 0.0000 1
Ca1 Ca 0.5000 0.5000 0.5000 1
Co1 Co 0.0000 0.5000 0.2531 1
O1 O 0.0000 0.5000 0.0000 1
O2 O 0.0000 0.5000 0.5000 1
O3 O 0.2579 0.2579 0.2622 1
```

Top 8 peaks for 10° ≤ 2θ ≤ 90°, in order of falling intensity:
d [Å], I_rel, hkl
2.679, 1000, 1 1 2
4.379, 864, 1 0 1
2.687, 508, 2 0 0
1.900, 504, 2 2 0
1.550, 374, 3 1 2
2.291, 301, 2 1 1
1.339, 267, 2 2 4
1.888, 242, 0 0 4



Starting from a crystal structure in the Materials Project, relaxed with GGA+U, the X-ray powder pattern of Li6Mn15O32 was computed for Cu Ka.
Neutral-atom scattering factors, no anomalous dispersion.

Crystal structure
```
data_Li6Mn15O32
_chemical_formula_sum 'Li12 Mn30 O64'
_space_group_name_H-M_alt 'C 1 2/m 1'
_space_group_IT_number 12
_space_group_name_Hall '-C 2y'
_cell_length_a 10.0609
_cell_length_b 5.7721
_cell_length_c 19.2404
_cell_angle_alpha 90.00
_cell_angle_beta 100.14
_cell_angle_gamma 90.00
loop_
_atom_site_label
_atom_site_type_symbol
_atom_site_fract_x
_atom_site_fract_y
_atom_site_fract_z
_atom_site_occupancy
Li1 Li 0.0251 0.0000 0.0914 1
Li2 Li 0.2168 0.0000 0.6561 1
Li3 Li 0.2173 0.5000 0.1508 1
Mn1 Mn 0.0000 0.0000 0.5000 1
Mn2 Mn 0.0006 0.2511 0.7500 1
Mn3 Mn 0.1242 0.5000 0.8797 1
Mn4 Mn 0.1268 0.0000 0.3769 1
Mn5 Mn 0.2481 0.5000 0.7498 1
Mn6 Mn 0.2500 0.2500 0.0000 1
Mn7 Mn 0.2500 0.2500 0.5000 1
O1 O 0.0441 0.0000 0.6908 1
O2 O 0.0443 0.5000 0.1899 1
O3 O 0.0656 0.5000 0.6989 1
O4 O 0.0669 0.0000 0.1979 1
O5 O 0.0745 0.2194 0.4413 1
O6 O 0.0853 0.2659 0.9342 1
O7 O 0.1773 0.2240 0.3088 1
O8 O 0.1779 0.2746 0.8069 1
O9 O 0.1838 0.0000 0.5526 1
O10 O 0.1979 0.5000 0.0506 1
O11 O 0.2003 0.0000 0.0595 1
O12 O 0.2060 0.5000 0.5586 1
```

Top 8 peaks for 10° ≤ 2θ ≤ 90°, in order of falling intensity:
d [Å], I_rel, hkl
4.733, 1000, 2 0 -2
2.048, 527, 4 0 4
2.473, 256, 2 0 6
2.465, 156, 0 2 4
1.578, 103, 6 0 2
1.448, 100, 2 2 10
1.450, 98, 6 2 -2
1.574, 54, 1 3 -7



Starting from a crystal structure in the Materials Project, relaxed with GGA+U, the X-ray powder pattern of CsTaV2O8 was computed for Cu Ka.
Neutral-atom scattering factors, no anomalous dispersion.

Crystal structure
```
data_CsTaV2O8
_chemical_formula_sum 'Cs4 Ta4 V8 O32'
_space_group_name_H-M_alt 'P 1 21/m 1'
_space_group_IT_number 11
_space_group_name_Hall '-P 2yb'
_cell_length_a 9.3067
_cell_length_b 5.7119
_cell_length_c 16.9954
_cell_angle_alpha 90.00
_cell_angle_beta 105.59
_cell_angle_gamma 90.00
loop_
_atom_site_label
_atom_site_type_symbol
_atom_site_fract_x
_atom_site_fract_y
_atom_site_fract_z
_atom_site_occupancy
Cs1 Cs 0.0089 0.2500 0.1109 1
Cs2 Cs 0.4675 0.2500 0.3832 1
Ta1 Ta 0.0881 0.7500 0.6512 1
Ta2 Ta 0.4177 0.7500 0.8466 1
V1 V 0.1164 0.7500 0.2984 1
V2 V 0.2099 0.2500 0.5440 1
V3 V 0.2944 0.2500 0.9501 1
V4 V 0.3546 0.7500 0.1678 1
O1 O 0.0087 0.0071 0.2940 1
O2 O 0.1021 0.2500 0.4421 1
O3 O 0.1202 0.2500 0.9576 1
O4 O 0.1722 0.5050 0.5951 1
O5 O 0.1962 0.7500 0.2122 1
O6 O 0.2525 0.7500 0.3829 1
O7 O 0.2639 0.7500 0.7440 1
O8 O 0.2818 0.7500 0.0686 1
O9 O 0.3173 0.5034 0.8931 1
O10 O 0.3903 0.2500 0.5478 1
O11 O 0.4191 0.2500 0.0473 1
O12 O 0.4627 0.0067 0.1963 1
```

Top 8 peaks for 10° ≤ 2θ ≤ 90°, in order of falling intensity:
d [Å], I_rel, hkl
3.300, 1000, 2 1 -3
5.393, 333, 0 1 1
2.856, 230, 0 2 0
2.840, 226, 0 1 5
4.093, 210, 0 0 4
4.188, 157, 1 0 3
2.221, 146, 2 2 -4
4.442, 142, 1 1 -2
'''

Reply:
Starting from a crystal structure in the Materials Project, relaxed with GGA+U, the X-ray powder pattern of BaCaCo4O12 was computed for Cu Ka.
Neutral-atom scattering factors, no anomalous dispersion.

Crystal structure
```
data_BaCaCo4O12
_chemical_formula_sum 'Ba1 Ca1 Co4 O12'
_space_group_name_H-M_alt 'P 4/m m m'
_space_group_IT_number 123
_space_group_name_Hall '-P 4 2'
_cell_length_a 5.3748
_cell_length_b 5.3748
_cell_length_c 7.5536
_cell_angle_alpha 90.00
_cell_angle_beta 90.00
_cell_angle_gamma 90.00
loop_
_atom_site_label
_atom_site_type_symbol
_atom_site_fract_x
_atom_site_fract_y
_atom_site_fract_z
_atom_site_occupancy
Ba1 Ba 0.0000 0.0000 0.0000 1
Ca1 Ca 0.5000 0.5000 0.5000 1
Co1 Co 0.0000 0.5000 0.2531 1
O1 O 0.0000 0.5000 0.0000 1
O2 O 0.0000 0.5000 0.5000 1
O3 O 0.2579 0.2579 0.2622 1
```

Top 8 peaks for 10° ≤ 2θ ≤ 90°, in order of falling intensity:
d [Å], I_rel, hkl
2.679, 1000, 1 1 2
4.379, 864, 1 0 1
2.687, 508, 2 0 0
1.900, 504, 2 2 0
1.550, 374, 3 1 2
2.291, 301, 2 1 1
1.339, 267, 2 2 4
1.888, 242, 0 0 4



Starting from a crystal structure in the Materials Project, relaxed with GGA+U, the X-ray powder pattern of Li6Mn15O32 was computed for Cu Ka.
Neutral-atom scattering factors, no anomalous dispersion.

Crystal structure
```
data_Li6Mn15O32
_chemical_formula_sum 'Li12 Mn30 O64'
_space_group_name_H-M_alt 'C 1 2/m 1'
_space_group_IT_number 12
_space_group_name_Hall '-C 2y'
_cell_length_a 10.0609
_cell_length_b 5.7721
_cell_length_c 19.2404
_cell_angle_alpha 90.00
_cell_angle_beta 100.14
_cell_angle_gamma 90.00
loop_
_atom_site_label
_atom_site_type_symbol
_atom_site_fract_x
_atom_site_fract_y
_atom_site_fract_z
_atom_site_occupancy
Li1 Li 0.0251 0.0000 0.0914 1
Li2 Li 0.2168 0.0000 0.6561 1
Li3 Li 0.2173 0.5000 0.1508 1
Mn1 Mn 0.0000 0.0000 0.5000 1
Mn2 Mn 0.0006 0.2511 0.7500 1
Mn3 Mn 0.1242 0.5000 0.8797 1
Mn4 Mn 0.1268 0.0000 0.3769 1
Mn5 Mn 0.2481 0.5000 0.7498 1
Mn6 Mn 0.2500 0.2500 0.0000 1
Mn7 Mn 0.2500 0.2500 0.5000 1
O1 O 0.0441 0.0000 0.6908 1
O2 O 0.0443 0.5000 0.1899 1
O3 O 0.0656 0.5000 0.6989 1
O4 O 0.0669 0.0000 0.1979 1
O5 O 0.0745 0.2194 0.4413 1
O6 O 0.0853 0.2659 0.9342 1
O7 O 0.1773 0.2240 0.3088 1
O8 O 0.1779 0.2746 0.8069 1
O9 O 0.1838 0.0000 0.5526 1
O10 O 0.1979 0.5000 0.0506 1
O11 O 0.2003 0.0000 0.0595 1
O12 O 0.2060 0.5000 0.5586 1
```

Top 8 peaks for 10° ≤ 2θ ≤ 90°, in order of falling intensity:
d [Å], I_rel, hkl
4.733, 1000, 2 0 -2
2.048, 527, 4 0 4
2.473, 256, 2 0 6
2.465, 156, 0 2 4
1.578, 103, 6 0 2
1.448, 100, 2 2 10
1.450, 98, 6 2 -2
1.574, 54, 1 3 -7



Starting from a crystal structure in the Materials Project, relaxed with GGA+U, the X-ray powder pattern of CsTaV2O8 was computed for Cu Ka.
Neutral-atom scattering factors, no anomalous dispersion.

Crystal structure
```
data_CsTaV2O8
_chemical_formula_sum 'Cs4 Ta4 V8 O32'
_space_group_name_H-M_alt 'P 1 21/m 1'
_space_group_IT_number 11
_space_group_name_Hall '-P 2yb'
_cell_length_a 9.3067
_cell_length_b 5.7119
_cell_length_c 16.9954
_cell_angle_alpha 90.00
_cell_angle_beta 105.59
_cell_angle_gamma 90.00
loop_
_atom_site_label
_atom_site_type_symbol
_atom_site_fract_x
_atom_site_fract_y
_atom_site_fract_z
_atom_site_occupancy
Cs1 Cs 0.0089 0.2500 0.1109 1
Cs2 Cs 0.4675 0.2500 0.3832 1
Ta1 Ta 0.0881 0.7500 0.6512 1
Ta2 Ta 0.4177 0.7500 0.8466 1
V1 V 0.1164 0.7500 0.2984 1
V2 V 0.2099 0.2500 0.5440 1
V3 V 0.2944 0.2500 0.9501 1
V4 V 0.3546 0.7500 0.1678 1
O1 O 0.0087 0.0071 0.2940 1
O2 O 0.1021 0.2500 0.4421 1
O3 O 0.1202 0.2500 0.9576 1
O4 O 0.1722 0.5050 0.5951 1
O5 O 0.1962 0.7500 0.2122 1
O6 O 0.2525 0.7500 0.3829 1
O7 O 0.2639 0.7500 0.7440 1
O8 O 0.2818 0.7500 0.0686 1
O9 O 0.3173 0.5034 0.8931 1
O10 O 0.3903 0.2500 0.5478 1
O11 O 0.4191 0.2500 0.0473 1
O12 O 0.4627 0.0067 0.1963 1
```

Top 8 peaks for 10° ≤ 2θ ≤ 90°, in order of falling intensity:
d [Å], I_rel, hkl
3.300, 1000, 2 1 -3
5.393, 333, 0 1 1
2.856, 230, 0 2 0
2.840, 226, 0 1 5
4.093, 210, 0 0 4
4.188, 157, 1 0 3
2.221, 146, 2 2 -4
4.442, 142, 1 1 -2